_Entries_
Ca2MoHIr | the Alexandria database | PBE-GGA | optimized geometry; D(E_F) = 0.607 states/eV per atom; spin magnetization = 0.600 μB/atom; uncorrected energy = -23.553 eV per formula unit
1.0
-1.028 2.863 -4.738
-0.471 -4.071 -2.358
-5.507 -0.040 1.171
H Mo Ir Ca
1 1 1 2
Direct
0.500 0.500 0.500
0.000 0.500 0.000
0.000 0.000 0.000
0.000 0.000 0.500
0.500 0.000 0.000

~~~~~

A geometry-optimized Sr2MnZn2As2O2 structure, computed with PBE+U.

Density of states at the Fermi level ... 1.52 states/eV per cell
Raw total energy ... -89.53 eV for the cell shown

```
data_Sr2MnZn2As2O2
_chemical_formula_sum 'Sr4 Mn2 Zn4 As4 O4'
_symmetry_space_group_name_H-M 'I 4/m m m'
_symmetry_Int_Tables_number 139
_symmetry_space_group_name_Hall '-I 4 2'
_cell_length_a 4.1964
_cell_length_b 4.1964
_cell_length_c 18.8220
_cell_angle_alpha 90.00
_cell_angle_beta 90.00
_cell_angle_gamma 90.00
loop_
_atom_site_label
_atom_site_type_symbol
_atom_site_fract_x
_atom_site_fract_y
_atom_site_fract_z
Sr1 Sr 0.0000 0.0000 0.0870
Mn1 Mn 0.0000 0.0000 0.5000
Zn1 Zn 0.0000 0.5000 0.2500
As1 As 0.0000 0.0000 0.3313
O1 O 0.0000 0.5000 0.0000
```

_Wanted_
It remains to reproduce the calculation results further up from the first line to the one with "data_Sr2MnZn2As2O2" verbatim.

_Written answer_
Ca2MoHIr | the Alexandria database | PBE-GGA | optimized geometry; D(E_F) = 0.607 states/eV per atom; spin magnetization = 0.600 μB/atom; uncorrected energy = -23.553 eV per formula unit
1.0
-1.028 2.863 -4.738
-0.471 -4.071 -2.358
-5.507 -0.040 1.171
H Mo Ir Ca
1 1 1 2
Direct
0.500 0.500 0.500
0.000 0.500 0.000
0.000 0.000 0.000
0.000 0.000 0.500
0.500 0.000 0.000

~~~~~

A geometry-optimized Sr2MnZn2As2O2 structure, computed with PBE+U.

Density of states at the Fermi level ... 1.52 states/eV per cell
Raw total energy ... -89.53 eV for the cell shown

```
data_Sr2MnZn2As2O2